module FreeImage::Modify

  1. lib/free-image/modules/modify.rb

The Modify module provides methods that can copy, paste, composite, and enlarge images. It also allows the creation of thumbnails and filling background colors.

Public Instance methods

image.composite(background_bitmap) -> bitmap
image.composite(background_bitmap) {|img| block} -> bitmap

Composites a transparent foreground image against a background image. The equation for computing a composited sample value is:

output = alpha * foreground + (1-alpha) * background

Where alpha and the input and output sample values are expressed as fractions in the range 0 to 1. For color images, the computation is done separately for R, G, and B samples.

If an optional block is provided, it will be passed the new image as an argument. The image will be automatically closed when the block completes.

[show source]
# File lib/free-image/modules/modify.rb, line 64
def composite(background_bitmap, &block)
  ptr = FreeImage.FreeImage_Composite(self, false, nil, background_bitmap)
  FreeImage.check_last_error, &block)
image.composite_with_color(background_color) -> bitmap
image.composite_with_color(background_color) {|img| block} -> bitmap

Composites a transparent foreground image against a background color. The equation for computing a composited sample value is:

output = alpha * foreground + (1-alpha) * background

Where alpha and the input and output sample values are expressed as fractions in the range 0 to 1. For color images, the computation is done separately for R, G, and B samples.

If an optional block is provided, it will be passed the new image as an argument. The image will be automatically closed when the block completes.

[show source]
# File lib/free-image/modules/modify.rb, line 86
def composite_with_color(background_color, &block)
  ptr = FreeImage.FreeImage_Composite(self, false, background_color, nil)
  FreeImage.check_last_error, &block)
image.copy(left, top, right, bottom) -> bitmap
image.copy(left, top, right, bottom) {|img| block} -> bitmap

Copy a subpart of the current image. The rectangle defined by the left, top, right, bottom parameters is first normalized such that the value of the left coordinate is less than the right and the top is less than the bottom. Then, the returned bitmap is defined by a width equal to (right - left) and a height equal to (bottom - top).

If an optional block is provided, it will be passed the new image as an argument. The image will be automatically closed when the block completes.

The function returns the subimage if successful and othewise it returns nil.

[show source]
# File lib/free-image/modules/modify.rb, line 107
def copy(left, top, right, bottom, &block)
  ptr = FreeImage.FreeImage_Copy(self, left, top, right, bottom)
  FreeImage.check_last_error, &block)
image.enlarge_canvas(left, top, right, bottom, color, options = 0) -> bitmap
image.enlarge_canvas(left, top, right, bottom, color, options = 0) {|img| block} -> bitmap

Enlarges or shrinks an image selectively per side and fills newly added areas with the specified background color. The common use case is to add borders to an image.

Calculated crystals, as found in the file.
********
Starting from a DFT-relaxed cell (GGA+U, Alexandria), the powder diffraction line list of LiCo2OF3 was simulated for Cu Kα (weighted mean of Kα1 and Kα2).
Neutral-atom scattering factors, no anomalous dispersion.

Most intense lines, 15° ≤ 2θ ≤ 90°, by intensity:
2θ/deg  I_rel  (hkl)
34.45  100.0  2 1 1
29.28  53.8  0 2 0
34.63  49.5  1 0 -3
55.27  32.2  2 3 -1
60.81  27.8  2 2 -4
60.64  26.7  0 4 0
29.37  26.0  1 1 2
60.93  25.1  2 2 4
51.91  20.1  3 1 2
31.08  18.2  2 0 -1

Structural model:
a b c (Å): 6.110 6.107 8.579
angles (deg): 90.00 90.14 90.00
Atoms (fractional coordinates):
Li 0.000 0.000 0.000
Li 0.235 0.235 0.757
Li 0.235 0.765 0.757
Li 0.483 0.000 0.990
Co 0.217 0.500 0.120
Co 0.222 0.000 0.362
Co 0.505 0.500 0.508
Co 0.732 0.500 0.874
Co 0.734 0.000 0.615
Co 0.766 0.244 0.258
Co 0.766 0.756 0.258
Co 0.973 0.500 0.497
O 0.728 0.267 0.493
O 0.728 0.733 0.493
O 0.974 0.500 0.258
O 0.976 0.000 0.233
F 0.000 0.000 0.757
F 0.240 0.237 0.987
F 0.240 0.763 0.987
F 0.241 0.265 0.511
F 0.241 0.735 0.511
F 0.459 0.500 0.752
F 0.470 0.000 0.757
F 0.498 0.500 0.246
F 0.499 0.000 0.235
F 0.731 0.236 0.001
F 0.731 0.764 0.001
F 0.999 0.500 0.745

=====

Computed powder X-ray diffraction pattern of BaMo2IrO8 for Cu Kα (weighted mean of Kα1 and Kα2), from a DFT-relaxed cell (PBE+U, Alexandria).
No peak broadening, texture or thermal motion is included.

```
data_BaMo2IrO8
_symmetry_space_group_name_H-M 'C 1 2/m 1'
_symmetry_Int_Tables_number 12
_symmetry_space_group_name_Hall '-C 2y'
_cell_length_a 9.135
_cell_length_b 5.938
_cell_length_c 7.703
_cell_angle_alpha 90.00
_cell_angle_beta 92.47
_cell_angle_gamma 90.00
loop_
_atom_site_label
_atom_site_type_symbol
_atom_site_fract_x
_atom_site_fract_y
_atom_site_fract_z
_atom_site_occupancy
Ba1 Ba 0.000 0.000 0.000 1
Mo1 Mo 0.134 0.500 0.291 1
Ir1 Ir 0.000 0.000 0.500 1
O1 O 0.020 0.240 0.310 1
O2 O 0.204 0.500 0.077 1
O3 O 0.213 0.000 0.549 1
```

Peak list (8 most intense, 5 to 70 degrees two-theta, low angle first)
- d 4.977, I 47, (1 1 0)
- d 4.563, I 50, (2 0 0)
- d 4.225, I 40, (1 1 -1)
- d 3.852, I 36, (2 0 1)
- d 3.080, I 100, (1 1 -2)
- d 3.010, I 57, (1 1 2)
- d 2.969, I 49, (0 2 0)
- d 2.707, I 68, (3 1 0)

=====

[1]
For CsK12Rb7, a structure optimized by DFT (PBE) gives the theoretical powder X-ray diffraction pattern in this record (Cu Kα X-rays).
Peak positions follow from Bragg's law for the DFT cell and can differ from measured ones.

Principal peaks in the range 10° ≤ 2θ ≤ 90°, sorted by position:
21.48°, rel. 34, (1 1 3)
22.30°, rel. 23, (4 -1 2)
22.93°, rel. 100, (1 4 0)
23.95°, rel. 16, (0 4 2)
24.77°, rel. 30, (3 0 3)
26.27°, rel. 15, (2 2 3)
30.37°, rel. 16, (5 -4 3)
40.28°, rel. 16, (6 3 0)

Crystal structure
a b c (Å): 20.5205 20.5205 13.5632
angles (deg): 90.00 90.00 120.00
Space group R-3 (No. 148, hexagonal axes)
One atom of each set of equivalent atoms:
Cs (0.0000, 0.0000, 0.0000) [3 per cell]
K (0.0439, 0.2380, 0.5743) [18 per cell]
********
The calculated crystals stop here.

To add a border to any of the image's sides, a positive integer value must be passed in any of the parameters left, top, right or bottom. This value represents the border's width in pixels. Newly created parts of the image (the border areas) are filled with the specified color.

Specifying a negative integer value for a certain side, will shrink or crop the image on this side. Consequently, specifying zero for a certain side will not change the image's extension on that side.

For palletized images, the palette of the current image src is transparently copied to the newly created enlarged or shrunken image, so any color look-ups are performed on this palette.



The number of pixels the image should be enlarged on its left side. Negative values shrink the image on its left side.


The number of pixels the image should be enlarged on its top side. Negative values shrink the image on its top side.


The number of pixels the image should be enlarged on its right side. Negative values shrink the image on its right side.


The number of pixels, the image should be enlarged on its bottom side. Negative values shrink the image on its bottom side.


The color value to be used for filling the image. See fill_background for more details.


Used to control color search process for palletized images. See fill_background for more details.

If an optional block is provided, it will be passed the new image as an argument. The image will be automatically closed when the block completes.

Returns a new image on success or nil.

[show source]
# File lib/free-image/modules/modify.rb, line 153
def enlarge_canvas(left, top, right, bottom, color, options = 0, &block)
  ptr = FreeImage.FreeImage_EnlargeCanvas(self, left, top, right, bottom, color, options)
  FreeImage.check_last_error, &block)
fill_background! (color, options = 0)

Sets all pixels of an image to the specified color.



The color value to be used for filling the image.

The type of the color parameter depends on the
{image type}[rdoc-ref:FreeImage.image_types]
bitmap::  RGBQuad
rgb16::   RGB16
rgba16::  RGBA16
rgbf::    RGBF
rgbaf::   RGBFA
complex:: Complex
others::  A value of the specific type (double, int, etc.).

Used to control color search process for palletized images.

Allowed values are defined as constants on the FreeImage
module and include:

Returns true on success, false on failure.

[show source]
# File lib/free-image/modules/modify.rb, line 187
def fill_background!(color, options = 0)
  result = FreeImage.FreeImage_FillBackground(self, color, options)
bitmap.make_thumbnail(max_pixel_size, convert = true) -> bitmap
bitmap.make_thumbnail(max_pixel_size, convert = true) {|img| block} -> bitmap

Creates a thumbnail image that fits inside a square of size max_pixel_size, keeping the original aspect ratio intact. Downsampling is done using a bilinear filter.



The maximum width/height of the returned image


When set to true, High Dynamic Range images (FIT_UINT16, FIT_RGB16, FIT_RGBA16, FIT_FLOAT) are transparently converted to standard images (i.e. 8-, 24 or 32-bit images). The default value is true.

If an optional block is provided, it will be passed the new image as an argument. The image will be automatically closed when the block completes.

[show source]
# File lib/free-image/modules/modify.rb, line 212
def make_thumbnail(max_pixel_size, convert = true, &block)
  ptr = FreeImage.FreeImage_MakeThumbnail(self, max_pixel_size, convert)
  FreeImage.check_last_error, &block)
paste! (other, left, top, alpha)

Combines or blends a subpart of another image with the current image.



Source subimage


Specifies the left position of the sub image.


Specifies the top position of the sub image.


Alpha blend factor. If alpha is 0..255, the other images is

alpha blended withe current image. If alpha > 255, then
the other image is combined to the current image.

The function returns true if successful, otherwise false.

[show source]
# File lib/free-image/modules/modify.rb, line 231
def paste!(other, left, top, alpha)
  result = FreeImage.FreeImage_Paste(self, other, left, top, alpha)
bitmap.rescale(width, height, filter) -> bitmap
bitmap.rescale(width, height, filter) {|img| block} -> bitmap -> bitmap

Resamples an image to the desired width and height. Resampling changes the pixel dimensions (and therefore display size) of an image. When you downsample (or decrease the number of pixels), information is deleted from the image. When you upsample (or increase the number of pixels), new pixels are added based on color values of existing pixels. You can specify an interpolation filter to determine how pixels are added or deleted using the filter parameter.

Returns the newly resample image or nil if the image cannot be resampled.



The width of the new image


The height of the new image


The filter to use when rescaling

Filter options include:


The simplest and fastest of the scaling algorithms. The technique achieves magnification by pixel replication, and minification by sparse point sampling. For large-scale changes, box interpolation produces images with a blocky appearance. In addition, shift errors of up to one-half pixel are possible. These problems make this technique inappropriate when sub-pixel accuracy is required.


An advanced parameterized scaling filter. It uses a cubic to produce very smooth output while maintaining dynamic range and sharpness. Bicubic scaling takes approximately twice the processing time as Bilinear. This filter can be used for any scaling application, especially when scaling factors are 2X or greater.


The second-fastest scaling function. It employs linear interpolation to determine the output image. Bilinear scaling provides reasonably good results at moderate cost for most applications where scale factors are relatively small (4X or less).


Produces the smoothest output, but tends to smooth over fine details. This function requires the same processing time as :bicubic filter. It is recommended for applications where the smoothest output is required.

-- begin --
For NaZnPO4, the GGA-PBE geometry in OQMD gives the simulated PXRD pattern in this record (λ = 1.5418 Å (Cu Kα)).
Kinematic intensities with the Lorentz-polarization factor, no thermal factor.

Principal peaks in the range 2θ from 10° to 90°, low angle first:
2θ/deg	Rel. int.
18.0	72
29.6	33
30.3	77
33.5	97
34.9	100
36.4	25
55.9	29
60.1	46

Cell: 5.3887 5.3887 6.0285 Å, 90.00 90.00 113.63°
Positions (direct):
Na 0.0000 0.0000 0.0000
Na 0.0000 0.0000 0.5000
Zn 0.3426 0.6574 0.7500
Zn 0.6574 0.3426 0.2500
P 0.3627 0.6373 0.2500
P 0.6373 0.3627 0.7500
O 0.2586 0.7414 0.0445
O 0.2586 0.7414 0.4555
O 0.2601 0.3231 0.2500
O 0.3231 0.2601 0.7500
O 0.6769 0.7399 0.2500
O 0.7399 0.6769 0.7500
O 0.7414 0.2586 0.5445
O 0.7414 0.2586 0.9555



For Na5PaO5, the GGA-PBE geometry in OQMD gives the simulated PXRD pattern in this record (λ = 1.5418 Å (Cu Kα)).
Kinematic intensities with the Lorentz-polarization factor, no thermal factor.

Principal peaks in the range 2θ from 10° to 90°, low angle first:
2θ/deg	Rel. int.
14.1	100
16.8	39
18.2	51
21.1	91
23.9	37
32.1	36
33.3	35
36.8	31

Cell: 6.0175 6.0175 6.6403 Å, 107.22 107.22 44.94°
Positions (direct):
Na 0.0000 0.0000 0.0000
Na 0.2957 0.2957 0.1621
Na 0.3179 0.3179 0.6465
Na 0.6821 0.6821 0.3535
Na 0.7043 0.7043 0.8379
Pa 0.0000 0.0000 0.5000
O 0.1408 0.1408 0.3340
O 0.1515 0.1515 0.8090
O 0.5000 0.5000 0.5000
O 0.8485 0.8485 0.1910
O 0.8592 0.8592 0.6660



For Na4Pa4O11, the GGA-PBE geometry in OQMD gives the simulated PXRD pattern in this record (λ = 1.5418 Å (Cu Kα)).
Kinematic intensities with the Lorentz-polarization factor, no thermal factor.

Principal peaks in the range 2θ from 10° to 90°, low angle first:
2θ/deg	Rel. int.
21.2	100
29.7	18
30.2	72
30.7	16
43.2	18
48.6	24
53.1	17
54.3	17

Cell: 5.8197 8.3810 6.0107 Å, 90.00 90.08 90.00°
Positions (direct):
Na 0.0000 0.0000 0.0000
Na 0.0148 0.5000 0.9340
Na 0.4957 0.5000 0.4291
Na 0.5154 0.0000 0.5053
Pa 0.0028 0.2544 0.4699
Pa 0.0028 0.7456 0.4699
Pa 0.5076 0.2483 0.9685
Pa 0.5076 0.7517 0.9685
O 0.1974 0.3021 0.1651
O 0.1974 0.6979 0.1651
O 0.3173 0.3051 0.6610
O 0.3173 0.6949 0.6610
O 0.4016 0.0000 0.9199
O 0.6132 0.5000 0.0142
O 0.7039 0.1876 0.2706
O 0.7039 0.8124 0.2706
O 0.8164 0.1898 0.7726
O 0.8164 0.8102 0.7726
O 0.8900 0.5000 0.5187



For Na4PaO5, the GGA-PBE geometry in OQMD gives the simulated PXRD pattern in this record (λ = 1.5418 Å (Cu Kα)).
Kinematic intensities with the Lorentz-polarization factor, no thermal factor.

Principal peaks in the range 2θ from 10° to 90°, low angle first:
2θ/deg	Rel. int.
16.6	96
22.3	100
23.5	43
32.7	83
37.6	58
47.5	24
54.9	38
64.8	24

Cell: 5.8378 5.8378 5.8378 Å, 99.24 99.24 132.76°
Positions (direct):
Na 0.0943 0.6924 0.7867
Na 0.3076 0.0943 0.4019
Na 0.6924 0.9057 0.5981
Na 0.9057 0.3076 0.2133
Pa 0.5000 0.5000 0.0000
O 0.0000 0.0000 0.0000
O 0.2314 0.4151 0.6466
O 0.4151 0.7686 0.1837
O 0.5849 0.2314 0.8163
O 0.7686 0.5849 0.3534
-- stop --


The Catmull-Rom filter is generally accepted as the best cubic interpolant filter.


A sinc based filter. It is the most theoretically correct filter that produces the best output for photographic images that do not have sharp transitions in them. However, Lanczos will produce ripple artefacts especially for block text, due to aliasing. It requires three times the processing time of Bilinear. Lanczos is not recommended except in very rare applications using band-limited photographic images with no sharp edges.

Between two parts of the article: crystal structures =
=====
This entry pairs a crystal structure of K2ICl5 with its theoretical powder X-ray diffraction pattern. Radiation: Cu Kα (weighted mean of Kα1 and Kα2). Structure: the PBE geometry in Alexandria.
Peak positions follow from Bragg's law for the DFT cell and can differ from measured ones.

Atomic structure:
Cell lengths 6.366, 6.366, 7.841 Å; angles 110.35, 110.35, 87.08 degrees
Atoms (fractional coordinates):
K (0.000, 0.000, 0.000)
K (0.512, 0.512, 0.282)
I (0.255, 0.255, 0.640)
Cl (0.043, 0.448, 0.870)
Cl (0.062, 0.467, 0.409)
Cl (0.448, 0.043, 0.870)
Cl (0.467, 0.062, 0.409)
Cl (0.753, 0.753, 0.136)

Largest 6 diffraction maxima, sorted by position, 10° ≤ 2θ ≤ 90°:
2theta  Rel. int.
14.9  80
15.9  44
21.9  52
22.9  100
32.1  63
33.1  52

This entry pairs a crystal structure of K3ICl4 with its theoretical powder X-ray diffraction pattern. Radiation: Cu Kα (weighted mean of Kα1 and Kα2). Structure: the PBE geometry in Alexandria.
Peak positions follow from Bragg's law for the DFT cell and can differ from measured ones.

Atomic structure:
Cell lengths 6.265, 9.823, 11.165 Å; angles 90.00, 90.00, 90.00 degrees
Atoms (fractional coordinates):
K (0.250, 0.015, 0.185)
K (0.250, 0.250, 0.616)
K (0.250, 0.485, 0.185)
K (0.750, 0.515, 0.815)
K (0.750, 0.750, 0.384)
K (0.750, 0.985, 0.815)
I (0.250, 0.750, 0.888)
I (0.750, 0.250, 0.112)
Cl (0.250, 0.013, 0.886)
Cl (0.250, 0.250, 0.352)
Cl (0.250, 0.487, 0.886)
Cl (0.250, 0.750, 0.318)
Cl (0.750, 0.250, 0.682)
Cl (0.750, 0.513, 0.114)
Cl (0.750, 0.750, 0.648)
Cl (0.750, 0.987, 0.114)

Largest 6 diffraction maxima, sorted by position, 10° ≤ 2θ ≤ 90°:
2theta  Rel. int.
18.3  81
18.6  100
21.3  59
27.9  60
28.5  88
36.6  48

Number 1 is which compound?
K2ICl5
=====
The article goes on =

If an optional block is provided, it will be passed the new image as an argument. The image will be automatically closed when the block completes.

[show source]
# File lib/free-image/modules/modify.rb, line 294
def rescale(width, height, filter = :bilinear, &block)
  ptr = FreeImage.FreeImage_Rescale(self, width, height, filter)
  FreeImage.check_last_error, &block)